
Day In Court : Real-Life Claims Court Draws Line at Rowdy, TV-Style Confrontations

Times Staff Writer

He was having his day in court. Not that he really wanted to--he was standing at the lectern to the judge’s right . . . the defendant’s “box.” He was being sued by a testy plaintiff, a loan officer for a credit union who demanded payment of $254.69.

The plaintiff had the edge. The defendant, sensing his downfall, protested that the payment had been made--at a 24-hour teller window. It wasn’t his fault, he said, that the credit union took hours, sometimes days, to record the deposit. It also wasn’t his fault, he said, that the payment should have been made at the branch where the loan exists. If it’s all the same bank, he argued, what difference does it make what branch is used.

Well, it doesn’t work that way, the plaintiff said. The judge, who appeared to be buying the plaintiff’s argument, suddenly heard shouting. The defendant had reached the breaking point.


“That isn’t as it should be!” he screamed.

“Well, that’s just how it is!” the plaintiff said.

“Gentlemen,” the judge shouted, having the final say, “this is not ‘People’s Court!’ ”

“The People’s Court” is a television show (seen locally on Channel 10). It offers a real-life courtroom setting, even a real-life judge, Joseph A. Wapner. In the view of at least one judge in San Diego County, though, the realness ends there.

Misconceptions on Conduct

“The negative side of the program,” said Municipal Court Judge William Mudd, “is that it leaves the public with the impression that certain kinds of conduct are acceptable in a real-life courtroom --specifically, confrontations. With judges, litigants, whomever. I’m talking about shouting, name-calling, that kind of thing.”

The court Mudd refers to is small claims. Until 1985, Mudd had spent several years as a small claims court commissioner. Small claims is one court in which the judges are “commissioners”--they also referee traffic cases--and litigants represent themselves without attorneys. Mudd and others warn, however, that small claims court is not “play” court, as some seem to believe it is. (More fallout, he fears, from “The People’s Court.”)


Small claims is “real” court. Its primary difference from Municipal and Superior courts is the dollar amount--a $1,500 limit on contested matters. Higher amounts (in civil cases) are taken up in Municipal and Superior courts.

TV on Everyone’s Mind

A recent day in San Diego Small Claims Court (located with traffic court in Kearny Mesa) showed that a certain TV show is weighing on the minds of everyone involved--litigants, commissioners, bailiffs.

Especially the last two.

Several times when emotion flared in the courtroom of Commissioner James L. Duchnick, he having presided over the credit union case (verdict: plaintiff), “The People’s Court” was used as a model of how not to behave.


Bailiff Hector Olmeda stole much of Duchnick’s --and litigants’--thunder by saying in pretrial instructions that “The People’s Court” was a popular television show, nothing more. A friendly but firm warning.

That Olmeda even uses the show as a bad example is just another example of the hold television has on society.

“Judge Mudd used to say, ‘I don’t want to hear that so-and-so slammed the door in your face, drinks like a slob or called your wife a dirty name,’ ” Olmeda said. “Leave that emotional stuff at home, he said. He let ‘em know right down the middle, and it usually got the job done.”

But some judges--even Mudd--say the show is not all bad.

“It does two good things,” he said. “It teaches individuals to be brief and to the point. It also teaches them you must be prepared. They’ve got to have everything when they come to court. A lot of people have no concept of what’s required of them, they leave written estimates of a car accident behind on the kitchen table. A lot of times I’d be in a position to do something for them, I often believed the things they were saying, but they just didn’t have the proof.”

Litigants Poorly Prepared

However, on a recent day in small claims court, the most striking facet was how poorly prepared most litigants were.

A tenant, making what appeared to be a good case against an erstwhile landlord, failed to bring her original lease agreement--the document the landlord remembered. Verdict: landlord.


In another case, plaintiff and defendant engaged in a nasty contract squabble but both failed to bring written copies of the contract. Duchnick postponed the matter, angrily telling both parties to get their act together.

Even so, Stu Billett, executive producer of “The People’s Court,” a syndicated show based in Los Angeles, feels that “preparation” is one of the main ways the show helps.

“It used to be incredible,” he said. “People used to walk in with information written on matchbook covers. Now they know better. You really do learn a lot about what to do, what not to do.

“As far as being emotional, most of our mail indicates just the opposite--people feel Judge Wapner is too stern, too taut. They don’t feel they get away with enough.

“Hey, whether it’s the ‘80s or whatever, people are angry. They want that day in court. Maybe they need to vent their spleen. I will admit we pick people who express more--maybe they do seem madder. As a television show, we naturally pick people who articulate--who emote. We can’t afford to use people who are meek, quiet, shy--but sure, you’ll find those kind in ‘real’ court. Maybe the contrast makes it seem as though our folks are more hacked off.”

While he would prefer the shy complainants to those who are hacked off, Commissioner Duchnick agrees that certain aspects of the show are helpful. A look-alike to comedian Buck Henry and an avid triathlete, Duchnick credits the show with making his job a bit easier.


“As matter of fact,” he said, “on the whole it’s helpful. They know a judge is there, they expect to have rules, they aren’t just flailing away. We give them careful instructions before each calendar, in case they’re tempted to parrot the show. We really don’t need that.”

Part of why they don’t need it is that the number of contested cases--as opposed to defaults where one party fails to show, or those settled beforehand--rose sharply in 1984. Contested cases now make up 20 to 25 of the 60 or so scheduled for hearing by each commissioner each day.

Paradoxically, and this baffles the commissioners, the total number of cases fell in 1984. Some 2,500 now enter the dockets each month.

Mudd is at a loss to explain the drop, but thinks, once again, “The People’s Court” may be in session on several fronts.

Bitter Claims Made

“Although the numbers declined,” he said, “the amount of acrimony seemed to be increasing. December, in fact, was the worst month I’ve ever seen for acrimony, bitterness, vindictiveness, people bringing lawsuits that would make your hair curl.”

Neighborhood disputes, Mudd said, were--and almost always are --the worst.

**Records of molecules that have nothing to do with the piece:**
____________
Here is a structure of composition C14H39IN6O5P2 at a distorted geometry from OMol25. Energies are from ωB97M-V with the def2-TZVPD basis set.

Summary:
* largest force on an atom: 0.1054 hartree/bohr
* orbital gap: 6.924 eV
* total charge: 0

Structure (XYZ):
```
67
Properties=species:S:1:pos:R:3:forces:R:3:mulliken_charge:R:1
C 0.883292 -1.008557 -1.178620 -0.50 -0.16 -0.71 -0.55
O 2.243274 -1.261953 -1.581702 0.00 0.57 0.13 -0.35
C 3.097778 -1.395535 -0.576480 0.22 -0.49 0.11 0.93
O 2.823970 -1.690765 0.546373 -0.18 0.27 0.49 -0.45
O 4.386907 -1.178250 -0.917038 0.03 -0.29 -0.59 -0.60
I 4.929797 -1.719665 -2.765411 0.08 0.20 0.14 0.25
H 0.820056 -0.514137 -0.217498 0.17 -0.07 0.15 0.27
H 0.468081 -0.370219 -1.953519 0.05 0.10 -0.03 0.17
H 0.311282 -1.931903 -1.185209 0.11 -0.15 0.29 0.35
O -0.602015 -3.345037 2.108054 1.79 -2.33 -1.14 -0.82
P -0.039396 -3.719790 3.436514 -2.20 3.08 3.80 0.45
N -1.446062 -4.268635 4.273181 0.16 0.39 0.03 0.19
C -2.182914 -3.637263 5.339437 0.04 0.00 0.20 -0.85
C -2.071750 -5.462274 3.737873 0.36 -0.19 -0.22 -1.12
N 0.575795 -2.208806 3.929873 -0.38 0.46 -0.30 0.37
C 0.500621 -1.638001 5.259994 0.49 -0.19 0.34 -1.04
C 0.519284 -1.141363 2.931066 -0.36 0.10 -0.20 -0.99
N 1.108286 -4.605064 4.410191 0.72 -1.24 -2.34 0.12
C 1.819237 -5.652017 3.660114 0.18 0.21 -0.25 -0.94
C 0.791437 -5.079337 5.739709 -0.58 -0.15 0.16 -1.01
H -2.284292 -4.316736 6.198341 -0.05 0.01 -0.01 0.36
H -3.194036 -3.348696 5.024988 0.03 0.00 -0.03 0.34
H -1.690943 -2.744414 5.712502 0.01 -0.07 -0.11 0.16
H -1.572468 -6.379789 4.085984 -0.11 -0.02 0.00 0.25
H -2.051558 -5.462575 2.644946 0.01 0.02 0.01 0.29
H -3.117144 -5.520852 4.039988 -0.01 0.10 0.06 0.41
H -0.510816 -1.308504 5.523270 0.08 0.04 0.04 0.38
H 1.136612 -0.753080 5.316917 0.06 -0.01 -0.14 0.38
H 0.888019 -2.305692 6.029718 -0.20 -0.17 -0.05 0.20
H -0.486740 -0.707161 2.850588 0.04 0.06 -0.05 0.34
H 0.822365 -1.506222 1.959159 -0.06 -0.07 -0.03 0.18
H 1.218209 -0.346927 3.197562 0.02 -0.08 0.22 0.41
H 1.171885 -6.503037 3.411556 0.05 -0.06 0.08 0.32
H 2.672680 -6.028555 4.225763 -0.03 0.08 0.09 0.34
H 2.207886 -5.244484 2.723019 -0.04 0.01 0.03 0.29
H 0.147073 -5.969933 5.746137 0.01 0.04 0.01 0.28
H 0.321725 -4.318228 6.357186 -0.09 0.04 -0.12 0.28
H 1.734223 -5.337841 6.227155 0.05 -0.02 -0.10 0.43
O -0.960392 1.845398 -3.910225 -2.94 0.14 -1.14 -0.80
P -1.004694 3.335235 -3.951845 4.78 1.99 1.60 0.49
N 0.222586 3.697350 -5.105560 0.05 0.00 0.42 0.22
C 1.537074 4.255672 -4.901800 0.06 0.19 0.02 -0.85
C -0.032734 3.243920 -6.460026 -0.47 -0.03 0.01 -1.13
N -0.617205 3.676572 -2.324564 0.29 -0.50 0.22 0.25
C 0.260358 4.728025 -1.846433 -0.32 0.51 0.09 -0.97
C -0.524849 2.518635 -1.436771 0.19 -0.29 -0.07 -1.18
N -1.889592 4.827226 -4.147111 -2.13 -1.60 -0.74 0.14
C -3.230663 4.636932 -4.722510 -0.15 -0.20 0.26 -0.95
C -1.282043 6.019996 -4.697622 0.47 -0.03 -0.41 -1.01
H 1.684263 5.143506 -5.533368 0.04 -0.03 -0.01 0.36
H 2.329979 3.538670 -5.148547 -0.04 -0.02 0.01 0.34
____________
**So much for the records of molecules:**

One case concerned a tree sprouting onto a neighbor’s property. The offended party pruned the tree, not only the portion encroaching upon his land but most of the rest of it as well. The tree’s owner sued. The case lingered for months like a bad sore, both parties treating each other like bitter enemies. The defendant later produced Polaroid photographs showing the actual damage as minimal. And Mudd was bone-weary near the end of it.

Part of what may be happening with the drop in total cases and increase in contested cases is, Duchnick said, a television-inspired “change in attitude.” Plaintiffs are seizing the urge to “go all the way” with cases, a la “The People’s Court,” but they also are realizing that one party will lose (another of the show’s contributions).

Litigants also may have gleaned a certain slyness from the telegenic court. The defendant who owed money to the credit union, and who was asked by Duchnick to please huddle with the plaintiff and work things out, admitted watching the show but bobbed and weaved when the question of influence came up.


“I’ve watched it for years,” he said testily, “but how could I, a mature adult, possibly be influenced by that? You heard the man. When I got emotional there at the end, he made reference to it. But you heard him, didn’t you? . . . he wouldn’t let me be influenced by it.”
